Object Detection

OverFeat (ILSVRC 2013)

OverFeat: Integrated Recognition, Localization and Detection using Convolutional Networks
sliding windows + feature Extractor + multi-scale Classification ../../_images/overfeat.png

R-CNN (CVPR 2014)

Rich feature hierarchies for accurate object detection and semantic segmentation
Regions with CNN features

**What comes next are data records, not part of the text**
Computed, not measured: 7 unconnected molecules or ions with the total composition C30H57F9O9S2 in a non-equilibrium geometry, with wB97M-V/def2-TZVPD.

Atoms and positions in Å:
O -0.46193 -0.67396 3.42735
S -0.07257 -1.92871 2.71177
O 1.27225 -1.60438 1.71464
O 0.48693 -3.04545 3.83170
C 0.51502 -4.38408 3.26507
C -0.84998 -4.83676 2.58325
C -2.14221 -4.63738 3.54310
C -3.41212 -4.90854 2.61467
C -4.81345 -4.65237 3.36961
F -4.65662 -4.44964 4.75053
F -5.49100 -5.91021 3.26518
C -5.75968 -3.60540 2.64127
F -7.09049 -3.97537 2.95545
F -5.68435 -3.72453 1.23736
S -5.52394 -1.80698 3.07589
F -6.10163 -1.98636 4.60838
F -7.06749 -1.51426 2.47032
F -4.97147 -1.48699 1.51459
F -3.94264 -1.98292 3.51539
F -5.38207 -0.18644 3.38487
H 1.00949 -0.91152 1.06537
H 1.32333 -4.41616 2.45473
H 0.83504 -5.11908 4.06429
H -0.81641 -5.96561 2.37113
H -1.02487 -4.35955 1.55560
H -2.09954 -3.60326 3.99907
H -2.08601 -5.45835 4.32045
H -3.35084 -6.00351 2.29108
H -3.31532 -4.29027 1.67020
C -7.41823 -9.98106 4.25195
C -6.64616 -10.59241 5.40180
C -5.21008 -10.32045 4.99653
O -5.21732 -9.10512 4.23646
C -6.57402 -8.76662 3.91672
H -8.44959 -9.72677 4.50075
H -7.43126 -10.67332 3.40384
H -6.87981 -10.06073 6.32971
H -6.85186 -11.65285 5.55547
H -4.82086 -11.11680 4.35290
H -4.54490 -10.21149 5.85608
H -6.85770 -7.90459 4.52953
H -6.64390 -8.48342 2.86450
C 3.90303 2.87736 0.25437
C 4.43567 1.49336 -0.04580
C 3.28664 0.61048 0.40066
O 2.08239 1.36412 0.19880
C 2.43072 2.72844 -0.07540
H 4.38901 3.66885 -0.31876
H 4.02670 3.09984 1.31952
H 4.59543 1.38413 -1.12230
H 5.37299 1.26244 0.46320
H 3.35740 0.37256 1.46734
H 3.23191 -0.32496 -0.16189
H 2.24127 2.91602 -1.13792
H 1.79789 3.39530 0.51382
C 5.33094 0.72378 -5.63309
C 4.80432 2.12745 -5.42375
C 4.27643 2.05754 -4.00404
O 5.08789 1.09978 -3.30629
C 5.88499 0.38710 -4.26215
H 6.07836 0.64811 -6.42431
H 4.50371 0.04977 -5.87775
H 5.62893 2.84550 -5.48089
H 4.04330 2.42407 -6.14689
H 3.24153 1.69943 -3.98119
H 4.32278 3.02197 -3.49228
H 6.92026 0.72987 -4.15742
H 5.84895 -0.68265 -4.04564
C -9.53679 -2.61592 -1.66970
C -8.47201 -3.24918 -0.80007
C -8.12611 -4.49949 -1.58532
O -8.33518 -4.18996 -2.96961
C -9.03972 -2.94487 -3.06438
H -9.66065 -1.54477 -1.50347
H -10.50055 -3.10375 -1.49123
H -7.59956 -2.59039 -0.74293
H -8.80472 -3.46320 0.21678
H -8.79012 -5.33028 -1.32312
H -7.09264 -4.81861 -1.43255
H -8.33472 -2.18703 -3.42325
H -9.85130 -3.03620 -3.78938
C 7.15237 7.15348 -2.27845
C 7.68929 5.76998 -2.57912
C 6.54136 4.88469 -2.13398
O 5.33611 5.63426 -2.33550
C 5.68130 7.00095 -2.60889
H 7.63613 7.94590 -2.84998
H 7.27478 7.37545 -1.21311
H 7.85007 5.66053 -3.65660
H 8.62669 5.54086 -2.06974
H 6.61328 4.64674 -1.06697
H 6.49083 3.94931 -2.69719
H 5.49201 7.18907 -3.67127
H 5.04808 7.66582 -2.01956
C 5.43459 12.42462 -2.33488
C 6.86524 12.30351 -1.85668
C 6.99225 10.81124 -1.61800
O 6.11572 10.16535 -2.55185
C 5.26611 11.15567 -3.14787
H 5.23922 13.32921 -2.91258
H 4.75427 12.41237 -1.47733

  1. generate region proposals by Selective Search, warpped to fixed size
  2. embedding (one shot) features with CNN
  3. detect & classify object by SVM
  4. adjust boundary box by linear regression

Bounding-Box Regression

\(P=(P_x, P_y, P_w, P_h)\): the pixel corrdinates of the center of proposal together with width and height
\(G=(G_x, G_y, G_w, G_h)\): the ground-truth
\(\hat{G}\): predicted ground-truth
\(d_x(P), d_y(P)\): scale-invariant translation of P_x, P_y
\(d_w(P), d_h(P)\): log-space translation of P_w, P_h

\[\begin{split}\begin{split} &\hat{G}_x=P_wd_x(P)+P_x\\ &\hat{G}_y=P_hd_y(P)+P_y\\ &\hat{G}_w=P_we^{d_w(P)}\\ &\hat{G}_h=P_he^{d_h(P)} \end{split}\end{split}\]

Non-Maximum Suppression, NMS

Post-processing to removes dupliicated detection for the same instance by IoU

SPP-net / SPPNet (TPAMI 2015)

Spatial Pyramid Pooling in Deep Convolutional Networks for Visual Recognition
Previous model require a fixed-size input image.

Spatial Pyramid Pooling SPP

spatial pyramid pooling layer get fixed size output from flexible size input via adapting the step size
Improve Bag-of-Words (BoW) to maintain spatial infomation by pooling in local spatial bins. These spatial bins have sizes proportional to the image size, so the number of bins is fixed regardless of the image size.

Fast R-CNN (ICCV 2015)

Fast R-CNN
Previous model drawbacks:

Training is a multi-stage pipeline that involves extracting features, fine-tuning a network with log loss, training SVMs. Fine-tuning algorithm cannot update the CNN that precede spatial pyramid pooling.

Fast R-CNN: using fully connected classifer so it could also train the CNN features.

  • Training is single-stage, using a multi-task loss
  • Training can update all network layers
  1. generate region proposals by Selective Search
  2. embedding (one shot) features with CNN with flexible size input
  3. bounding box regression
  4. classification with fully connnected network


The RoI pooling layer uses max pooling to convert the features inside any valid region of interest into a small feature map with a fixed spatial extent of H × W. The RoI layer is simply the special-case of the spatial pyramid pooling layer used in SPPnets in which there is only one pyramid level.

Faster R-CNN (NIPS 2015)

Faster R-CNN: Towards Real-Time Object Detection with Region Proposal Networks

Region Proposal Network (RPN)

An RPN is a fully convolutional network that simultaneously predicts object bounds and objectness scores at each position with anchor. (RPN replace selective search to produce region proposal.)

To generate region proposals, we slide a small network over the convolutional feature map output by the last shared convolutional layer. This small network takes as input an n × n spatial window of the input convolutional feature map. Each sliding window is mapped to a lower-dimensional feature (256-d for ZF and 512-d for VGG, with ReLU following). This feature is fed into two sibling fully connected layers—a box-regression layer (reg) and a box-classification layer (cls). It shares full-image convolutional features with the detection network, thus enabling nearly cost-free region proposals.


At each sliding-window location, we simultaneously predict multiple region proposals, where the number of maximum possible proposals for each location is denoted as k. So the reg layer has 4k outputs encoding the coordinates of k boxes, and the cls layer outputs 2k scores that estimate probability of object or not object for each proposal

DenseBox (2015)

DenseBox: Unifying Landmark Localization with End to End Object Detection
a unified end-to-end fully convolutional network that directly predicts bounding boxes and object class confidences through all locations and scales of an image, one-stage, anchor-free


input: \(m\times n\) image
the left top and right bottom points of the target bounding box: \(p_t=(x_t, y_t), p_b=(x_b, y_b)\) in output corrdinate space output: a \(\dfrac{m}{4}\times\dfrac{n}{4}\) feature map with 5 channels, \(\hat{t}_i=\{\hat{s}, \hat{dx^t} = x_i − x_t, \hat{dy^t} = y_i −y_t,\hat{dx^b} = x_i − x_b,\hat{dy^b} = y_i − y_b\}\)
\(\hat{s}\) is confidence score
\(\hat{dx^t}, \hat{dy^t}, \hat{dx^b}, \hat{dy^b}\) is the distance between pixel i with boundary of target bounding box

Multi-Level Feature Fusion

Upsampling so the feature map of high resolution also contains high level context information. (Similar to FPN)

Receptive field (Object size)

DenseBox is designed for small scales and heavy occlusion.
Receptive field is 48x48 (conv3_4) and 118x118 (conv4_4). 48x48 is said to be almost the same size of the face size, but it might be not large enough for other object detection.

Multi-Task Training

landmark localization

Balance Sampling
Ignoring Gray Zone
Hard Negative Mining

R-FCN (NIPS 2016)

R-FCN: Object Detection via Region-based Fully Convolutional Networks based on RPN of Faster R-CNN
Ideally, classification network should be translation invariance(shift of an object inside an image should be indiscriminative), while detection network should be translation variant. However, mapping RPN to vector is translation invariance. Position-sensitive score maps & Position-sensitive RoI pooling: output \(k\times k \times (C+1)\) channels for \(k\times k\) grid middle_img

MTCNN (2016)


UnitBox (ACM MM 2016)

UnitBox: An Advanced Object Detection Network

  • introduce a novel Intersection over Union (IoU) loss function
  • adopts a fully convolutional network architecture, to predict the object bounds as well as the pixel-wise classification scores on the feature maps directly (concurrent work of DenseBox)

SSD (ECCV 2016)

SSD: Single Shot MultiBox Detector from UNC Chapel Hill
One-stage: detecting objects in images using a single deep neural network

The core of SSD is predicting category scores and box offsets for a fixed set of default bounding boxes using small convolutional filters applied to feature maps Or a multi-scale version YOLOv1
  1. Apply anchor boxes on different layers directly to extract features. Replace region proposal to increase speed.
  2. dilated convolution to increase receptive field
  3. data augmentation
  • faster (59fps) since it is single shot (no proposal)
    Drawback: Difficult to detect small object since low level layer do not have high level feature

DSSD (2017)

SSD: Deconvolutional Single Shot Detector from UNC Chapel Hill
shallow layers have less semantic information, use deconvolution to improve small object accuracy
slower than SSD, cannot real-time

FPN (CVPR 2017)

Feature Pyramid Networks for Object Detection

Bottom-up pathway


Top-down pathway and lateral connection

The topdown pathway hallucinates higher resolution features by upsampling spatially coarser, but semantically stronger, feature maps from higher pyramid levels. These features are then enhanced with features from the bottom-up pathway via lateral connections. Each lateral connection merges feature maps of the same spatial size from the bottom-up pathway and the top-down pathway. The bottom-up feature map is of lower-level semantics, but its activations are more accurately localized as it was subsampled fewer times. ../../_images/FPN.png

Soft-NMS (ICCV 2017)

Soft-NMS – Improving Object Detection With One Line of Code
Non-maximum suppression(NMS):

The detection box M with the maximum score is selected and all other detection boxes with a significant overlap (using a pre-defined threshold) with M are suppressed. This process is recursively applied on the remaining boxes. As per the design of the algorithm, if an object lies within the predefined overlap threshold, it leads to a miss.

Soft-NMS decays the detection scores of all other objects as a continuous function of their overlap with M. Hence, no object is eliminated in this process. ../../_images/soft-NMS.png

RefineNet (CVPR 2017)


RetinaNet (ICCV 2017)

Focal Loss for Dense Object Detection

Focal Loss


ResNet + FPN + Box Subnet + Class Subnet


Feature Selective Anchor-Free Module for Single-Shot Object Detection
multi. anchor-free branch to cover more objects with different size

Feature Selective Anchor-Free Module, FSAF

addresses 2 limitations of anchor-based detection:

  1. heuristic-guided feature selection
  2. overlap-based anchor sampling
The general concept of the FSAF module is online feature selection applied to the training of multi-level anchor-free branches.

FCOS (ICCV 2019)

FCOS: Fully Convolutional One-Stage Object Detection
code multi-level prediciton with FPN for FCOS loss with centerness loss to reduce low quality center

EfficientDet (CVPR 2020)

EfficientDet: Scalable and Efficient Object Detection from Google Brain
google/automl | pyTorch re-implementation
One-stage detector with balance between accuracy and speed. based on autoML result of NAS-FPN and EfficientNet


employ EfficientNets as backbone networks.

Compound Scaling

using a single compound scaling factor to govern the depth, width, and resolution for all backbone, feature & prediction networks.